1. U.K. Atomic Energy Authority
A Monte Carlo solution technique has been implemented within the framework of an implicit-pressure, explicit-saturation (IMPES) simulator for two-phase, or two-component, flow. The saturation equation is interpreted as a probability density function and solved statistically. This automatically triggers an unstable solution when the mobility ratio is unfavorable, thereby mimicking the instability produced by heterogeneities in the porous medium. Results are presented for linear and one-quarter five-spot miscible and immiscible problems.
Following the application by Paterson1 of diffusion-limited aggregation (DLA) to the problem of infinite adverse mobility ratio miscible flow, interest developed in using Monte Carlo (statistical) techniques to solve the reservoir simulation equations. DeGregoria2,3 and Sherwood4 produced miscible formulations where the strict applicability of DLA to infinite mobility ratio has been relaxed to allow solutions to be obtained for finite mobility ratios. King and Scher5 extended this approach to immiscible flow. In such formulations, the statistical nature of the solution automatically triggers an unstable solution when the mobility ratio is unfavorable, thereby mimicking the instability produced by heterogeneities in the porous medium.
A Monte Carlo solution technique has been implemented within the framework of a conventional simulator for two-phase, or two-component, flow. The implicit pressure equation is solved in the usual way. However, the explicit equation describing the rate of change of saturation or concentration of the invading fluid with time is solved statistically, interpreting the equation as a probability density function. This has involved a number of developments over and above those described in the literature; in particular, the formulation allows regions invaded by displacing fluid to desaturate. The formulations and implementation of the algorithm known as "fingering with an explicit statistical saturation equation" (FINESSE) are discussed below.
The results of a series of both linear and one-quarter five-spot miscible and immiscible simulations are presented and discussed. Results are compared with an analytical model of unstable immiscible flow published recently by Hughes and Murphy.6
The advantages and disadvantages of the Monte Carlo approach to numerical simulation of porous medium flow and possible future developments are also discussed.
Formulation and Implementation
No. 1
# CsCd2Ni

A relaxed CsCd2Ni crystal (PBE-GGA, Alexandria via LeMat-Bulk).

Values from the calculation:
Calculated total energy, eV/atom: -1.4779
Density of states at the Fermi level, states/eV per atom: 0.941
Total magnetization, μB/atom: 0.144
Energy above the lowest structure with this stoichiometry, meV per atom: 399
Energy of formation, eV per atom: 0.64

Cell and atoms, written as POSCAR:
```
CsCd2Ni
1.0
0.000 3.927 3.927
3.927 0.000 3.927
3.927 3.927 0.000
Cs Cd Ni
1 2 1
Cartesian
0.000 0.000 0.000
1.963 1.963 1.963
5.890 5.890 5.890
3.927 3.927 3.927
```

=====

No. 2
# ScCd3Ag2

A relaxed ScCd3Ag2 crystal (PBE-GGA, Alexandria via LeMat-Bulk).

Values from the calculation:
Calculated total energy, eV/atom: -2.5939
Density of states at the Fermi level, states/eV per atom: 0.565
Total magnetization, μB/atom: 0.068
Energy above the lowest structure with this stoichiometry, meV per atom: 0
Energy of formation, eV per atom: -0.13

Cell and atoms, written as POSCAR:
```
ScCd3Ag2
1.0
3.387 0.000 0.000
0.000 3.387 0.000
0.000 0.000 10.612
Sc Cd Ag
1 3 2
Cartesian
0.000 0.000 0.000
1.694 1.694 1.933
1.694 1.694 5.306
1.694 1.694 8.679
0.000 0.000 3.612
0.000 0.000 7.000
```

=====

- Which of these has the highest density of states at the Fermi level?
  CsCd2Ni

=====

What did the first record say?
# CsCd2Ni

A relaxed CsCd2Ni crystal (PBE-GGA, Alexandria via LeMat-Bulk).

Values from the calculation:
Calculated total energy, eV/atom: -1.4779
Density of states at the Fermi level, states/eV per atom: 0.941
Total magnetization, μB/atom: 0.144
Energy above the lowest structure with this stoichiometry, meV per atom: 399
Energy of formation, eV per atom: 0.64

Cell and atoms, written as POSCAR:
```
CsCd2Ni
1.0
0.000 3.927 3.927
3.927 0.000 3.927
3.927 3.927 0.000
Cs Cd Ni
1 2 1
Cartesian
0.000 0.000 0.000
1.963 1.963 1.963
5.890 5.890 5.890
3.927 3.927 3.927
```

=====

- What is the energy above the lowest structure with this stoichiometry in the first record?
  399 meV per atom

=====

## BaGdCo2O5 (PBE+U)

Data for an optimized crystal structure of BaGdCo2O5.

- V (Å³/cell) = 119.01
- mass density (g cm⁻³) = 6.9
- SG = P4/mmm
- total DFT energy (no corrections) (eV per atom) = -7.69

The structure in POSCAR format:
```
BaGdCo2O5
1.0
3.921 0.000 0.000
0.000 3.921 0.000
0.000 0.000 7.741
Ba Gd Co O
1 1 2 5
direct
0.000 0.000 0.000 Ba
0.000 0.000 0.500 Gd
The Monte Carlo solution technique FINESSE has been programmed into a conventional two-phase IMPES simulator. Two-component, miscible problems are treated by entering linear relative permeability functions. The implicit solution of the pressure field is unaltered and will not be discussed further. However, the solution of the water saturation equation is undertaken on a statistical basis, as described below.
For two-phase incompressible flow, the water saturation equation, neglecting the effects of gravity and capillarity, isEquation 2
where ?w=kkrw/µw. Oil saturation is calculated fromEquation 2
In finite-difference form, for each gridblock (see Fig. 1) the rate of change of water saturation with time isEquation 3
• Between two parts of the entry: data records:
-- begin --
4
Lattice="-1.040 3.673 -2.203 -3.088 -0.116 -3.143 -3.900 1.942 0.670" Properties=species:S:1:pos:R:3 comment="TaZnRu2 (GGA-PBE, optimized geometry)" dos_at_fermi_per_ev_cell=3.9 dft_energy_ev_per_atom=-7.738 spacegroup=F-43m pbc="T T T"
Ru 0.000 0.000 0.000
Ru -2.007 1.375 -1.169
Zn -6.021 4.124 -3.507
Ta -4.014 2.750 -2.338


meta-GGA SCAN SnBiCl2, single point on PBEsol structure; ΔE_f (raw) = -0.468 eV per atom; ρ = 6.39 g cm⁻³
1.0
-1.290 -0.309 -3.184
0.423 -2.939 -1.754
-8.890 -4.604 2.181
Sn Cl Bi
1 2 1
Cartesian
-4.879 -3.926 -1.379
-3.168 -4.190 -3.914
-6.589 -3.662 1.157
0.000 0.000 0.000


# meta-GGA SCAN ZrNiSe2, single point on PBEsol structure
# M_tot (μB per formula unit): 0.00
# DFT total energy (eV per cell): -89.302
# Formation energy without anion corrections (eV per atom): -0.568
# DOS(E_F) (states/eV per cell): 2.01
data_ZrNiSe2
_cell_length_a 4.393
_cell_length_b 4.393
_cell_length_c 3.355
_cell_angle_alpha 90.00
_cell_angle_beta 90.00
_cell_angle_gamma 90.00
_space_group_name_H-M_alt 'P 4/m m m'
_space_group_IT_number 123
_space_group_name_Hall '-P 4 2'
loop_
_atom_site_label
_atom_site_type_symbol
_atom_site_fract_x
_atom_site_fract_y
_atom_site_fract_z
_atom_site_occupancy
Zr1 Zr 0.000 0.000 0.000 1
Ni1 Ni 0.500 0.500 0.000 1
Se1 Se 0.000 0.500 0.500 1


# meta-GGA SCAN Si3Ni5, single point on PBEsol structure
# M_tot (μB per formula unit): 0.00
# DFT total energy (eV per cell): -229.933
# Formation energy without anion corrections (eV per atom): -0.507
# DOS(E_F) (states/eV per cell): 6.21
data_Si3Ni5
_cell_length_a 6.294
_cell_length_b 7.359
_cell_length_c 3.675
_cell_angle_alpha 90.00
_cell_angle_beta 90.00
_cell_angle_gamma 90.00
_space_group_name_H-M_alt 'C m m m'
_space_group_IT_number 65
_space_group_name_Hall '-C 2 2'
loop_
_atom_site_label
_atom_site_type_symbol
_atom_site_fract_x
_atom_site_fract_y
_atom_site_fract_z
_atom_site_occupancy
Si1 Si 0.000 0.000 0.000 1
Si2 Si 0.000 0.292 0.500 1
Ni1 Ni 0.000 0.500 0.000 1
Ni2 Ni 0.204 0.000 0.500 1
Ni3 Ni 0.250 0.250 0.000 1


> What is the formula in the first record?

ZrNiSe2


Repeat the first record exactly.
# meta-GGA SCAN ZrNiSe2, single point on PBEsol structure
# M_tot (μB per formula unit): 0.00
# DFT total energy (eV per cell): -89.302
# Formation energy without anion corrections (eV per atom): -0.568
# DOS(E_F) (states/eV per cell): 2.01
data_ZrNiSe2
_cell_length_a 4.393
_cell_length_b 4.393
_cell_length_c 3.355
_cell_angle_alpha 90.00
_cell_angle_beta 90.00
_cell_angle_gamma 90.00
_space_group_name_H-M_alt 'P 4/m m m'
_space_group_IT_number 123
_space_group_name_Hall '-P 4 2'
loop_
_atom_site_label
_atom_site_type_symbol
_atom_site_fract_x
_atom_site_fract_y
-- stop --
where the injection well is rate constrained and w represents upstream values.
A positive value of (?S w)i, j, k indicates that water saturation in the gridblock will rise, and a negative value indicates that it will fall. If these rates of change of water saturation are multiplied by the timestep, ?t(=tn+1-tn), and summed over all gridblocks taking the sign into account, then the result represents the amount of water injected during the timestep.
In a conventional IMPES simulation, the water saturation in each gridblock is adjusted at each timestep by an amount calculated with Eq. 3. In the Monte Carlo approach, the total saturation change over the timestep is allocated to a single gridblock in a discrete amount. The timestep size is selected to ensure that this discrete amount is equal to, or is some reciprocal integer fraction of, the maximum possible saturation change in a gridblock. The gridblock in which the discrete saturation change is placed is determined on a statistical basis.
Society of Petroleum Engineers (SPE)
The following is a GGA-PBE calculation of a relaxed structure of DySbAsO, from OQMD.

Values from the calculation:
Total energy: -5.2632 eV/atom

The structure in CIF format:
```
data_DySbAsO
_chemical_formula_sum 'Dy2 Sb2 As2 O2'
_space_group_name_H-M_alt 'P 1'
_space_group_IT_number 1
_cell_length_a 4.7828
_cell_length_b 4.7828
_cell_length_c 7.3350
_cell_angle_alpha 90.00
_cell_angle_beta 90.00
_cell_angle_gamma 90.00
loop_
_space_group_symop_operation_xyz
'x,y,z'
loop_
_atom_site_label
_atom_site_type_symbol
_atom_site_fract_x
_atom_site_fract_y
_atom_site_fract_z
Dy1 Dy 0.2500 0.7500 0.0000
Dy2 Dy 0.7500 0.2500 0.0000
Sb1 Sb 0.2500 0.2500 0.4306
Sb2 Sb 0.7500 0.7500 0.5694
As1 As 0.2500 0.2500 0.8038
As2 As 0.7500 0.7500 0.1962
O1 O 0.2500 0.7500 0.5000
O2 O 0.7500 0.2500 0.5000
```

The following is a GGA-PBE calculation of a relaxed structure of SrDyAsO, from OQMD.

Values from the calculation:
Total energy: -5.9535 eV/atom

The structure in CIF format:
```
data_SrDyAsO
_chemical_formula_sum 'Sr2 Dy2 As2 O2'
_space_group_name_H-M_alt 'P 1'
_space_group_IT_number 1
_cell_length_a 4.0893
_cell_length_b 6.7340
_cell_length_c 7.1526
_cell_angle_alpha 90.00
_cell_angle_beta 90.00
_cell_angle_gamma 90.00
loop_
_space_group_symop_operation_xyz
'x,y,z'
loop_
_atom_site_label
_atom_site_type_symbol
_atom_site_fract_x
_atom_site_fract_y
_atom_site_fract_z
Sr1 Sr 0.0000 0.0476 0.0000
Sr2 Sr 0.0000 0.9524 0.5000
Dy1 Dy 0.5000 0.3710 0.3424
Dy2 Dy 0.5000 0.6290 0.8424
As1 As 0.5000 0.2342 0.7230
As2 As 0.5000 0.7658 0.2230
O1 O 0.0000 0.2593 0.2800
O2 O 0.0000 0.7407 0.7800
```

The following is a GGA-PBE calculation of a relaxed structure of SrDyAsO, from OQMD.

Values from the calculation:
Total energy: -5.6775 eV/atom

The structure in CIF format:
```
data_SrDyAsO
_chemical_formula_sum 'Sr2 Dy2 As2 O2'
_space_group_name_H-M_alt 'P 1'
_space_group_IT_number 1
_cell_length_a 4.3944
_cell_length_b 4.3944
_cell_length_c 9.2613
_cell_angle_alpha 90.00
_cell_angle_beta 90.00
_cell_angle_gamma 90.00
loop_
_space_group_symop_operation_xyz
'x,y,z'
loop_
_atom_site_label
_atom_site_type_symbol
_atom_site_fract_x
_atom_site_fract_y
_atom_site_fract_z
Sr1 Sr 0.2500 0.7500 0.0000
Sr2 Sr 0.7500 0.2500 0.0000
Dy1 Dy 0.2500 0.2500 0.4143
Dy2 Dy 0.7500 0.7500 0.5857
As1 As 0.2500 0.2500 0.7789
As2 As 0.7500 0.7500 0.2211
O1 O 0.2500 0.7500 0.5000
O2 O 0.7500 0.2500 0.5000
```

> total energy of number 3 (SrDyAsO)?

-5.6775 eV/atom

~~~~~

## TbPm2Dy9 (PBE)

Data for a relaxed structure of TbPm2Dy9.

The space group is P6/mmm (No. 191) and the conventional cell measures 11.2623, 11.2623 and 3.4957 Å, with angles of 90.00, 90.00 and 120.00 degrees. The distinct sites, in fractional coordinates, are Tb at (0.0000, 0.0000, 0.0000), Pm at (0.3333, 0.6667, 0.0000), Dy at (0.0000, 0.5000, 0.0000) and Dy at (0.1742, 0.3484, 0.5000).
Process Chemistry and Technology
Cited by
3 articles.